Excerpt >
........
{"formula": "C4H9N3", "method": "ωB97M-V with the def2-TZVPD basis set", "symbols": ["C", "C", "C", "N", "N", "C", "N", "H", "H", "H", "H", "H", "H", "H", "H", "H"], "xyz": [[-0.4670, -1.8482, 0.2919], [-0.1424, 0.7267, -0.1630], [-1.2361, -0.1119, 0.0969], [-0.1430, 2.1036, 0.1061], [2.2638, 0.4532, -0.0998], [1.0257, 0.0090, -0.4524], [-2.4476, 0.0208, 0.4219], [-1.0265, 2.4396, 0.4682], [0.2062, 2.6703, -0.6598], [-3.0930, -0.0278, -0.3686], [2.3108, 1.0857, 0.6882], [3.0593, -0.1465, -0.2584], [1.0447, -0.7203, -1.2513], [-1.1507, -2.4241, -0.3333], [-0.7315, -1.9508, 1.3430], [0.5273, -2.2793, 0.1702]], "mulliken_charge": [-1.286, 0.072, 0.498, -0.572, -0.424, -0.244, -0.783, 0.267, 0.219, 0.258, 0.242, 0.242, 0.505, 0.247, 0.321, 0.437], "e_lumo_ha": 0.0104, "e_homo_ev": -7.1, "e_above_lowest_kcal_mol": 102.1}

* * * * *

Molecular formula: C9H13O2PS2
Method: DFT, ωB97M-V/def2-TZVPD

Properties
Highest occupied orbital energy   -8.48 eV
Orbital gap   7.24 eV
SMILES   COP(=S)(OC)C(=S)C1=CCCC=C1
LUMO energy   -1.24 eV

Positions of all 27 atoms, in Å:
C 2.123 -0.961 3.425
O 2.055 0.406 3.028
P 1.645 0.716 1.531
S 2.319 2.478 1.132
O 2.206 -0.547 0.621
C 2.864 -0.075 -0.560
C -0.256 0.590 1.696
S -0.877 0.491 3.238
C -1.050 0.776 0.608
C -0.624 1.159 -0.617
C -1.557 1.322 -1.782
C -2.628 0.208 -1.789
C -3.152 0.022 -0.370
C -2.469 0.380 0.741
H 1.225 -1.439 3.122
H 2.137 -0.997 4.579
H 3.016 -1.457 3.315
H 3.345 0.978 -0.564
H 2.276 -0.111 -1.412
H 3.503 -0.894 -0.763
H 0.478 1.509 -0.816
H -1.962 2.255 -1.647
H -1.084 1.222 -2.815
H -2.340 -0.795 -2.372
H -3.503 0.432 -2.454
H -4.133 -0.335 -0.449
H -2.930 0.193 1.638


Molecular formula: C40H42AsCrN3P
Method: DFT, ωB97M-V/def2-TZVPD

Properties
Highest occupied orbital energy (spin up / spin down)   -9.69 / -10.50 eV
Total charge   +1
<S²>   6.037
Multiplicity   5
Orbital gap (spin up / spin down)   7.41 / 8.10 eV
LUMO energy (spin up / spin down)   -2.28 / -2.39 eV

Positions of all 88 atoms, in Å:
Cr 0.274 0.819 0.755
N 2.795 1.891 -1.038
C 3.211 1.677 0.281
C 4.580 1.710 0.547
C 5.015 1.518 1.838
C 4.072 1.319 2.844
C 2.746 1.277 2.489
N 2.307 1.420 1.223
C 1.635 2.557 -1.443
C 1.730 3.451 -2.513
C 0.600 4.121 -2.925
C -0.600 3.899 -2.251
C -0.608 2.988 -1.226
N 0.482 2.295 -0.832
H 3.573 2.076 -1.649
H 5.280 1.900 -0.255
H 6.072 1.540 2.063
H 4.362 1.187 3.875
H 1.983 1.105 3.233
H 2.685 3.621 -2.990
H 0.653 4.822 -3.747
H -1.510 4.412 -2.525
H -1.526 2.769 -0.701
C -2.796 2.911 1.865
C -3.663 2.568 0.681
C -4.669 3.447 0.297
C -5.516 3.162 -0.762
C -5.370 1.975 -1.461
C -4.371 1.084 -1.097
C -3.511 1.369 -0.038
P -2.164 0.227 0.432
C -2.428 -1.243 -0.637
C -3.082 -2.371 -0.147
C -3.286 -3.487 -0.946
C -2.820 -3.491 -2.249
C -2.152 -2.378 -2.742
C -1.948 -1.248 -1.960
C -1.234 -0.067 -2.559
C -2.621 -0.294 2.100
C -3.932 -0.645 2.437
C -4.219 -1.118 3.701
C -3.186 -1.243 4.629
C -1.901 -0.853 4.303
C -1.591 -0.338 3.039
C -0.228 0.233 2.738
H -3.097 2.340 2.745
H -2.874 3.971 2.102
H -1.741 2.676 1.688
H -4.791 4.372 0.849
H -6.293 3.864 -1.036
H -6.031 1.734 -2.283
H -4.270 0.153 -1.638
H -3.433 -2.389 0.874
H -3.803 -4.348 -0.546
H -2.970 -4.356 -2.882
H -1.789 -2.384 -3.762
H -0.978 -0.262 -3.599
H -0.311 0.149 -2.012
H -1.853 0.833 -2.531
H -4.720 -0.551 1.698
H -5.231 -1.394 3.965
H -3.395 -1.627 5.619
H -1.117 -0.915 5.050
H 0.513 -0.379 3.268
H -0.197 1.216 3.241
C 0.251 -3.280 0.458
As 1.236 -1.668 0.001
C 2.740 -1.927 1.215
C 2.013 -2.267 -1.734
C 3.510 -2.259 -1.753
C 4.212 -1.120 -2.137
C 5.598 -1.093 -2.105
C 6.308 -2.210 -1.689
C 5.619 -3.357 -1.319
C 4.233 -3.380 -1.354
H 0.943 -4.122 0.473
H -0.530 -3.461 -0.277
H -0.209 -3.165 1.440
H 3.551 -1.242 0.969
H 3.112 -2.948 1.164
H 2.387 -1.716 2.224
H 1.606 -1.613 -2.505
H 1.631 -3.274 -1.907
H 3.655 -0.255 -2.478
H 6.132 -0.206 -2.423
H 7.389 -2.194 -1.669
H 6.163 -4.240 -1.010
H 3.702 -4.283 -1.073


Molecular formula: C19H22N4O2
Method: DFT, ωB97M-V/def2-TZVPD

Properties
........

What to do >
Search the rows further up for the word "C40H42AsCrN3P" and write out each line that has it.

Worked solution >
Molecular formula: C40H42AsCrN3P